Demise Charter Agreement

The demise charter agreement, also known as a bareboat charter, is a legal contract that allows a party, known as the charterer, to hire a vessel from the owner for a predetermined period. In this type of agreement, the charterer assumes complete responsibility for the vessel, including crewing, maintenance, and operation.

The demise charter agreement is a popular choice in the shipping industry as it offers a range of benefits. Firstly, it provides the charterer with greater flexibility in terms of vessel usage. Since the charterer is responsible for the vessel, they have greater control over its operations, including the choice of routes and cargo types.

Secondly, the demise charter agreement is cost-effective for the charterer as they do not have to pay the owner for operating costs such as fuel, crew, and maintenance. However, the charterer must be prepared to take on these costs themselves, which may be a disadvantage for some.

Thirdly, the agreement offers greater privacy for the charterer, as there is no requirement for the vessel to display the owner`s name or logos. This can be beneficial to companies that wish to avoid unwanted attention or scrutiny.

Despite the advantages, there are also some drawbacks to the demise charter agreement. The charterer must have the necessary infrastructure and resources to manage the vessel effectively. This includes having experienced crew members, port facilities, and equipment for loading and unloading cargo.

Additionally, the charterer assumes all risk and liability associated with the vessel. This includes any damage to the ship or injury to personnel, which can be a significant financial burden.

In conclusion, the demise charter agreement can be a valuable tool for companies in the shipping industry. It provides greater flexibility, cost-effectiveness, and privacy for the charterer. However, it is essential to carefully consider the associated risks and liabilities before entering into such an agreement. By doing so, companies can ensure the successful operation of their vessels and protect their financial interests.

What Is Sykes Picot Agreement

The Sykes-Picot Agreement: Understanding the History of Middle Eastern Borders

The Sykes-Picot Agreement is a pivotal moment in Middle Eastern history that has had far-reaching consequences to this day. The agreement was signed in 1916 between Britain and France, with the aim of carving up the Middle East in the aftermath of World War I. In this article, we`ll explore what the Sykes-Picot Agreement was, what it aimed to achieve, and how it has shaped the modern Middle Eastern borders.

Next to the article, the page also holds records of crystals
........
# 1
This record from Materials Project describes a relaxed structure of Cu2H6C3Br2N6. The functional is r2SCAN.

Density in kg/m3: 2948
Energy of formation in eV per atom: -0.26
Total magnetic moment in μB per cell: 0.000

Lattice parameters (Å, degrees): 3.8111 7.5841 16.2630 90.00 90.00 98.23
Atoms (fractional coordinates):
Cu1 0.3217 0.4745 0.0697
Cu2 0.6783 0.5255 0.5697
Cu3 0.6783 0.5255 0.9303
Cu4 0.3217 0.4745 0.4303
H1 0.1022 0.6320 0.3037
H2 0.5114 0.8351 0.9443
H3 0.8978 0.3680 0.6963
H4 0.3778 0.0106 0.8881
H5 0.6222 0.9894 0.1119
H6 0.3778 0.0106 0.6119
H7 0.6222 0.9894 0.3881
H8 0.5114 0.8351 0.5557
H9 0.4886 0.1649 0.0557
H10 0.4886 0.1649 0.4443
H11 0.1022 0.6320 0.1963
H12 0.8978 0.3680 0.8037
N1 0.5213 0.1017 0.2500
N2 0.5213 0.1053 0.1101
N3 0.6542 0.6524 0.8237
N4 0.4787 0.8947 0.6101
N5 0.5213 0.1053 0.3899
N6 0.4787 0.8983 0.7500
N7 0.6542 0.6524 0.6763
N8 0.8275 0.4204 0.7500
N9 0.4787 0.8947 0.8899
N10 0.1725 0.5796 0.2500
N11 0.3458 0.3476 0.3237
N12 0.3458 0.3476 0.1763
C1 0.5383 0.8140 0.6806
C2 0.4617 0.1860 0.1806
C3 0.2880 0.4215 0.2500
C4 0.5383 0.8140 0.8194
C5 0.7120 0.5785 0.7500
C6 0.4617 0.1860 0.3194
Br1 0.8746 0.6983 0.0563
Br2 0.1254 0.3017 0.9437
Br3 0.8746 0.6983 0.4437
Br4 0.1254 0.3017 0.5563


# 2
This record from Materials Project describes a relaxed structure of Dy5C2Br9. The functional is r2SCAN.

Density in kg/m3: 5536
Energy of formation in eV per atom: -1.84
Total magnetic moment in μB per cell: 0.000

Lattice parameters (Å, degrees): 16.4021 9.9896 13.3667 58.45 90.00 90.00
Atoms (fractional coordinates):
Br1 0.4360 0.0310 0.2373
Br2 0.3176 0.8040 0.5609
Br3 0.8188 0.9925 0.7533
Br4 0.1919 0.5980 0.8588
Br5 0.4311 0.8020 0.0580
Br6 0.8004 0.5837 0.3291
Br7 0.5689 0.1980 0.9420
Br8 0.6996 0.5837 0.8291
Br9 0.8261 0.7843 0.5317
Br10 0.8081 0.4020 0.1412
Br11 0.0676 0.4096 0.1521
Br12 0.9324 0.5904 0.8479
Br13 0.9360 0.9690 0.2627
Br14 0.5676 0.5904 0.3479
Br15 0.6919 0.4020 0.6412
Br16 0.3188 0.0075 0.7467
Br17 0.3261 0.2157 0.9683
Br18 0.1824 0.8040 0.0609
Br19 0.6824 0.1960 0.4391
Br20 0.8176 0.1960 0.9391
Br21 0.4324 0.4096 0.6521
Br22 0.0640 0.0310 0.7373
Br23 0.6812 0.9925 0.2533
Br24 0.3004 0.4163 0.1709
Br25 0.5587 0.8193 0.5402
Br26 0.1996 0.4163 0.6709
Br27 0.1739 0.2157 0.4683
Br28 0.6739 0.7843 0.0317
Br29 0.5640 0.9690 0.7627
Br30 0.0689 0.8020 0.5580
Br31 0.1812 0.0075 0.2467
Br32 0.4413 0.1807 0.4598
Br33 0.3081 0.5980 0.3588
Br34 0.9311 0.1980 0.4420
Br35 0.9413 0.8193 0.0402
Br36 0.0587 0.1807 0.9598
Dy1 0.9593 0.6624 0.4646
Dy2 0.5561 0.5070 0.7369
Dy3 0.3379 0.5112 0.7787
Dy4 0.6621 0.4888 0.2213
Dy5 0.0561 0.4930 0.7631
Dy6 0.3134 0.7146 0.9449
Dy7 0.0582 0.8601 0.1873
Dy8 0.4418 0.8601 0.6873
Dy9 0.5582 0.1399 0.3127
Dy10 0.4593 0.3376 0.0354
Dy11 0.5407 0.6624 0.9646
Dy12 0.4439 0.4930 0.2631
Dy13 0.1866 0.7146 0.4449
Dy14 0.8134 0.2854 0.5551
Dy15 0.1621 0.5112 0.2787
Dy16 0.8379 0.4888 0.7213
Dy17 0.9418 0.1399 0.8127
Dy18 0.0407 0.3376 0.5354
Dy19 0.9439 0.5070 0.2369
........
Back to the article

What is the Sykes-Picot Agreement?

The Sykes-Picot Agreement was a secret agreement signed on May 16, 1916, between Britain and France. The agreement was named after its two chief negotiators, Sir Mark Sykes of Britain and François Georges-Picot of France. The agreement was made during World War I when the two powers were allies and sought to divide the Middle Eastern region, which was then part of the Ottoman Empire.

The Sykes-Picot Agreement aimed to divide the Ottoman Empire into spheres of influence between Britain and France. The agreement divided the region into three zones – A, B, and C. France would take control of Zone A, which includes Lebanon and Syria. Zone B would be under British control, which includes present-day Iraq and Jordan, while Zone C was designated as an international zone that includes Palestine.

What was the aim of the Sykes-Picot Agreement?

## Someone pasted records of crystals at this point
/*
[1]
# BaY2S4 (PBE, optimized geometry)
data_BaY2S4
_space_group_name_H-M_alt 'P n m a'
_space_group_IT_number 62
_space_group_name_Hall '-P 2ac 2n'
_cell_length_a 12.332
_cell_length_b 4.061
_cell_length_c 14.603
_cell_angle_alpha 90.00
_cell_angle_beta 90.00
_cell_angle_gamma 90.00
loop_
_atom_site_label
_atom_site_fract_x
_atom_site_fract_y
_atom_site_fract_z
_atom_site_occupancy
Ba1 0.242 0.250 0.162 1
Y1 0.067 0.250 0.391 1
Y2 0.079 0.250 0.898 1
S1 0.022 0.750 0.783 1
S2 0.081 0.250 0.577 1
S3 0.124 0.750 0.023 1
S4 0.207 0.750 0.336 1
# **E_tot**: -6.626 eV/atom
# **V**: 731.37 Å³ per cell
# **Formation energy**: -2428 meV/atom

[2]
# Lu5B4Rh15 (PBE, optimized geometry)
data_Lu5B4Rh15
_space_group_name_H-M_alt 'P 4/m m m'
_space_group_IT_number 123
_space_group_name_Hall '-P 4 2'
_cell_length_a 4.185
_cell_length_b 4.185
_cell_length_c 20.482
_cell_angle_alpha 90.00
_cell_angle_beta 90.00
_cell_angle_gamma 90.00
loop_
_atom_site_label
_atom_site_fract_x
_atom_site_fract_y
_atom_site_fract_z
_atom_site_occupancy
Lu1 0.000 0.000 0.000 1
Lu2 0.000 0.000 0.201 1
Lu3 0.000 0.000 0.403 1
B1 0.500 0.500 0.102 1
B2 0.500 0.500 0.309 1
Rh1 0.000 0.500 0.100 1
Rh2 0.000 0.500 0.302 1
Rh3 0.000 0.500 0.500 1
Rh4 0.500 0.500 0.000 1
Rh5 0.500 0.500 0.203 1
Rh6 0.500 0.500 0.409 1
# **E_tot**: -7.447 eV/atom
# **V**: 358.72 Å³ per cell
# **Formation energy**: -790 meV/atom

[3]
# Sr2Ti2GaO7 (PBE, optimized geometry)
data_Sr2Ti2GaO7
_space_group_name_H-M_alt 'C 1 m 1'
_space_group_IT_number 8
_space_group_name_Hall 'C -2y'
_cell_length_a 7.908
_cell_length_b 21.829
_cell_length_c 5.589
_cell_angle_alpha 90.00
_cell_angle_beta 133.99
_cell_angle_gamma 90.00
loop_
_atom_site_label
_atom_site_fract_x
_atom_site_fract_y
_atom_site_fract_z
_atom_site_occupancy
Sr1 0.000 0.103 0.000 1
Sr2 0.030 0.397 0.029 1
Ti1 0.007 0.325 0.493 1
Ti2 0.009 0.175 0.495 1
Ga1 0.095 0.000 0.562 1
Ga2 0.439 0.000 0.404 1
O1 0.060 0.422 0.588 1
O2 0.145 0.000 0.275 1
O3 0.261 0.322 0.528 1
O4 0.263 0.170 0.529 1
O5 0.274 0.170 0.041 1
O6 0.280 0.322 0.048 1
O7 0.386 0.000 0.016 1
O8 0.474 0.422 0.504 1
# **E_tot**: -7.323 eV/atom
# **V**: 694.14 Å³ per cell
# **Formation energy**: -2988 meV/atom

[4]
# Na2Ca5Zr3S12O48 (PBE, optimized geometry)
data_Na2Ca5Zr3S12O48
_space_group_name_H-M_alt 'P 1'
_space_group_IT_number 1
_space_group_name_Hall 'P 1'
_cell_length_a 9.132
_cell_length_b 15.808
_cell_length_c 23.893
_cell_angle_alpha 90.04
_cell_angle_beta 90.07
_cell_angle_gamma 90.04
loop_
_atom_site_label
_atom_site_fract_x
_atom_site_fract_y
_atom_site_fract_z
_atom_site_occupancy
Na1 0.000 0.000 0.000 1
Na2 0.001 0.334 0.328 1
Na3 0.499 0.831 0.832 1
Na4 0.502 0.503 0.999 1
Na5 0.504 0.500 0.496 1
Na6 0.999 0.003 0.489 1
Ca1 0.000 0.999 0.344 1
Ca2 0.001 0.004 0.848 1
Ca3 0.001 0.005 0.146 1
Ca4 0.001 0.333 0.474 1
Ca5 0.001 0.334 0.181 1
Ca6 0.002 0.664 0.518 1
Ca7 0.002 0.672 0.021 1
Ca8 0.500 0.164 0.020 1
Ca9 0.501 0.498 0.145 1
Ca10 0.501 0.499 0.846 1
*/

The Sykes-Picot Agreement aimed to divide the Middle East into British and French spheres of influence and to establish a series of puppet states under their control. The agreement was also aimed at securing access to oil and other resources in the region and preventing the rise of a strong, independent Arab state that could challenge British and French interests in the region.

How did the Sykes-Picot Agreement shape the modern Middle Eastern borders?

The Sykes-Picot Agreement played a significant role in shaping the modern Middle Eastern borders as we know them today. It created artificial borders that failed to take into account the region`s ethnic and religious diversity, which has resulted in ongoing conflicts and tensions in the region.

The agreement`s division of the region between British and French spheres of influence also contributed to the formation of new states and the consolidation of existing ones. Iraq and Jordan were established as British protectorates, while Lebanon and Syria came under French control. The agreement also paved the way for the eventual creation of Israel in 1948, which was primarily supported by Britain.

In conclusion, the Sykes-Picot Agreement was a significant moment in Middle Eastern history that has had far-reaching consequences to this day. The agreement aimed to divide the region into British and French spheres of influence and establish puppet states to serve their interests. The agreement played a pivotal role in shaping the modern Middle Eastern borders and has contributed to ongoing conflicts and tensions in the region. It is a reminder of the complexities of geopolitics and the lasting impact of colonialism and imperialism.

Last Chance Agreement Template Canada

If you are a Canadian employer who is considering terminating an employee, you may want to consider using a Last Chance Agreement (LCA) as a way to give the employee one last opportunity to improve their performance or behavior. An LCA is a contract between the employer and employee that outlines specific expectations and consequences in the event the employee fails to meet those expectations. Here are some tips for creating an effective LCA template for Canada.

1. Start with the basics

Your LCA template should include the names of the employer and employee, as well as the date the agreement is signed. It should also clearly state that the purpose of the agreement is to give the employee one last chance to meet the employer`s expectations.

+++
# 1
Bi5O7F: relaxed, PBE-GGA.

Summary:
Magnetic moment, μB per cell: 0.000
Energy of formation, eV per formula unit: -21.966

a = 9.7237 Å, b = 9.7237 Å, c = 13.4721 Å
α = 70.91°, β = 70.91°, γ = 24.92°
Element x y z (fractional)
1 Bi 0.4716 0.4716 0.3516
2 Bi 0.8785 0.8785 0.5836
3 Bi 0.2529 0.2529 0.8708
4 Bi 0.4026 0.4026 0.1065
5 Bi 0.7957 0.7957 0.3622
6 Bi 0.2043 0.2043 0.6378
7 Bi 0.5974 0.5974 0.8935
8 Bi 0.7471 0.7471 0.1292
9 Bi 0.1215 0.1215 0.4164
10 Bi 0.5284 0.5284 0.6484
11 O 0.9352 0.9352 0.4021
12 O 0.4123 0.4123 0.5167
13 O 0.3024 0.3024 0.7048
14 O 0.3820 0.3820 0.2858
15 O 0.7076 0.7076 0.9031
16 O 0.7720 0.7720 0.5648
17 O 0.8486 0.8486 0.1735
18 O 0.1514 0.1514 0.8265
19 O 0.2280 0.2280 0.4352
20 O 0.2924 0.2924 0.0969
21 O 0.6180 0.6180 0.7142
22 O 0.6976 0.6976 0.2952
23 O 0.5877 0.5877 0.4833
24 O 0.0648 0.0648 0.5979
25 F 0.9196 0.9196 0.9719
26 F 0.0804 0.0804 0.0281

# 2
Bi19O27F3: relaxed, PBE-GGA.

Summary:
Magnetic moment, μB per cell: 0.000
Energy of formation, eV per formula unit: -83.644

a = 13.0840 Å, b = 13.0840 Å, c = 10.4640 Å
α = 90.00°, β = 90.00°, γ = 120.00°
Element x y z (fractional)
1 Bi 0.2371 0.9375 0.2460
2 Bi 0.2214 0.9370 0.5837
3 Bi 0.2409 0.9384 0.9171
4 Bi 0.1343 0.6118 0.2487
5 Bi 0.1338 0.6062 0.5829
6 Bi 0.1330 0.6139 0.9166
7 Bi 0.0625 0.2995 0.2460
8 Bi 0.0630 0.2844 0.5837
9 Bi 0.0616 0.3025 0.9171
10 Bi 0.0000 0.0000 0.3480
11 Bi 0.0000 0.0000 0.8480
12 Bi 0.4809 0.8670 0.9166
13 Bi 0.4724 0.8662 0.5829
14 Bi 0.4775 0.8657 0.2487
15 Bi 0.3938 0.5276 0.5829
16 Bi 0.3861 0.5191 0.9166
17 Bi 0.3882 0.5225 0.2487
18 Bi 0.3025 0.2409 0.4171
19 Bi 0.2844 0.2214 0.0837
20 Bi 0.2995 0.2371 0.7460
21 Bi 0.6975 0.7591 0.9171
22 Bi 0.7005 0.7629 0.2460
23 Bi 0.7156 0.7786 0.5837
24 Bi 0.6118 0.4775 0.7487
25 Bi 0.6139 0.4809 0.4166
26 Bi 0.6062 0.4724 0.0829
27 Bi 0.5191 0.1330 0.4166
28 Bi 0.5276 0.1338 0.0829
29 Bi 0.5225 0.1343 0.7487
30 Bi 0.9375 0.7005 0.7460
31 Bi 0.9370 0.7156 0.0837
32 Bi 0.9384 0.6975 0.4171
33 Bi 0.8657 0.3882 0.7487
34 Bi 0.8670 0.3861 0.4166
35 Bi 0.8662 0.3938 0.0829
36 Bi 0.7629 0.0625 0.7460
37 Bi 0.7591 0.0616 0.4171
38 Bi 0.7786 0.0630 0.0837
39 O 0.0142 0.8359 0.2541
40 O 0.0134 0.8210 0.5791
41 O 0.0157 0.8294 0.9128
42 O 0.1227 0.7233 0.7476
43 O 0.1248 0.7285 0.0843
44 O 0.1235 0.7229 0.4127
45 O 0.0563 0.4552 0.0796
46 O 0.0573 0.4589 0.7481
47 O 0.0582 0.4565 0.4161
48 O 0.3983 0.9418 0.4161
49 O 0.3989 0.9437 0.0796
50 O 0.4015 0.9427 0.7481
51 O 0.2771 0.4006 0.4127
52 O 0.2715 0.3963 0.0843
53 O 0.2767 0.3995 0.7476
54 O 0.1790 0.1925 0.5791
55 O 0.1641 0.1783 0.2541
56 O 0.1706 0.1863 0.9128
57 O 0.6005 0.8773 0.7476
58 O 0.6037 0.8752 0.0843
59 O 0.5994 0.8765 0.4127
60 O 0.1783 0.0142 0.7541
61 O 0.1925 0.0134 0.0791
62 O 0.1863 0.0157 0.4128
63 O 0.5411 0.5985 0.7481
64 O 0.5435 0.6017 0.4161
65 O 0.5448 0.6011 0.0796
66 O 0.4552 0.3989 0.5796
67 O 0.4565 0.3983 0.9161
68 O 0.4589 0.4015 0.2481
69 O 0.8217 0.9858 0.2541
70 O 0.8075 0.9866 0.5791
+++

2. Outline specific expectations

The LCA should detail the specific areas in which the employee needs to improve, such as attendance, punctuality, or job performance. These expectations should be tied to specific metrics or goals that the employee must meet within a specified period of time.

3. Include consequences for failure

The LCA should also outline consequences that will occur if the employee fails to meet the expectations outlined in the agreement. These consequences could include termination of employment, demotion, or other disciplinary action.

4. Consider the employee`s point of view

The LCA should be fair to both the employer and the employee. It`s important to consider the employee`s point of view when drafting the agreement. The consequences outlined should be proportionate to the behavior or performance that is expected of the employee.

5. Seek legal advice

It`s important to seek legal advice when drafting an LCA in Canada. Each province has its own employment laws, and there may be specific requirements that must be met for the agreement to be legally binding. A lawyer can also help ensure that the LCA does not violate any human rights laws.

In conclusion, a Last Chance Agreement can be an effective tool for employers in Canada to give employees one last opportunity to improve their performance or behavior. By creating an effective LCA template that outlines specific expectations and consequences, employers can help ensure that both parties understand their obligations and the consequences of not meeting them. Remember to seek legal advice to ensure that your LCA complies with Canadian employment laws.